(Wanted)
Echo every line further below that contains the word "Cr".

(Contents)
____________
[1]
{
  "formula": "Li2FeNiP2O8",
  "functional": "GGA+U",
  "state": "optimized geometry",
  "lattice": [[-1.479, -4.262, 1.456], [-8.660, 1.090, -5.464], [2.670, -2.546, -4.740]],
  "species": ["Li", "Li", "Li", "Li", "Fe", "Fe", "Ni", "Ni", "P", "P", "P", "P", "O", "O", "O", "O", "O", "O", "O", "O", "O", "O", "O", "O", "O", "O", "O", "O"],
  "frac_coords": [[0.000, 0.000, 0.000], [0.000, 0.000, 0.500], [0.500, 0.500, 0.000], [0.500, 0.500, 0.500], [0.024, 0.723, 0.750], [0.976, 0.277, 0.250], [0.484, 0.220, 0.750], [0.516, 0.780, 0.250], [0.418, 0.091, 0.250], [0.581, 0.909, 0.750], [0.917, 0.403, 0.750], [0.083, 0.597, 0.250], [0.705, 0.049, 0.750], [0.295, 0.951, 0.250], [0.742, 0.093, 0.250], [0.258, 0.906, 0.750], [0.241, 0.397, 0.750], [0.759, 0.603, 0.250], [0.203, 0.457, 0.250], [0.797, 0.543, 0.750], [0.283, 0.163, 0.044], [0.283, 0.163, 0.456], [0.717, 0.838, 0.544], [0.717, 0.838, 0.956], [0.778, 0.332, 0.546], [0.778, 0.332, 0.954], [0.222, 0.668, 0.046], [0.222, 0.668, 0.454]],
  "sg": "P2_1/m, No. 11"
}

---

[2]
{
  "formula": "MgCr4O12",
  "functional": "GGA+U",
  "state": "optimized geometry",
  "lattice": [[-6.720, -0.849, -1.686], [2.127, -6.237, -2.300], [0.682, -3.109, 4.741]],
  "species": ["Mg", "Cr", "Cr", "Cr", "Cr", "O", "O", "O", "O", "O", "O", "O", "O", "O", "O", "O", "O"],
  "frac_coords": [[0.912, 0.912, 0.250], [0.205, 0.618, 0.758], [0.388, 0.808, 0.266], [0.618, 0.205, 0.742], [0.808, 0.388, 0.234], [0.039, 0.785, 0.627], [0.094, 0.404, 0.794], [0.206, 0.957, 0.193], [0.355, 0.632, 0.553], [0.404, 0.094, 0.706], [0.340, 0.648, 0.046], [0.632, 0.355, 0.947], [0.620, 0.896, 0.300], [0.648, 0.340, 0.454], [0.785, 0.039, 0.873], [0.896, 0.620, 0.200], [0.957, 0.206, 0.307]],
  "sg": "C2, No. 5",
  "polymorph_energy_mev_per_atom": 0
}

---

[3]
{
  "formula": "Na2Ca17V2P14O56",
  "functional": "GGA+U",
  "state": "optimized geometry",
  "lattice": [[10.441, 0.000, 0.000], [-5.204, 12.848, 0.000], [-0.005, -4.250, 17.576]],
  "species": ["Na", "Na", "Na", "Na", "Ca", "Ca", "Ca", "Ca", "Ca", "Ca", "Ca", "Ca", "Ca", "Ca", "Ca", "Ca", "Ca", "Ca", "Ca", "Ca", "Ca", "Ca", "Ca", "Ca", "Ca", "Ca", "Ca", "Ca", "Ca", "Ca", "Ca", "Ca", "Ca", "Ca", "Ca", "Ca", "Ca", "Ca", "V", "V", "V", "V", "P", "P", "P", "P", "P", "P", "P", "P", "P", "P", "P", "P", "P", "P", "P", "P", "P", "P", "P", "P", "P", "P", "P", "P", "P", "P", "P", "P", "O", "O", "O", "O", "O", "O", "O", "O", "O", "O", "O", "O", "O", "O", "O", "O", "O", "O", "O", "O", "O", "O", "O", "O", "O", "O", "O", "O", "O", "O", "O", "O", "O", "O", "O", "O", "O", "O", "O", "O", "O", "O", "O", "O", "O", "O", "O", "O", "O", "O", "O", "O", "O", "O", "O", "O", "O", "O", "O", "O", "O", "O", "O", "O", "O", "O", "O", "O", "O", "O", "O", "O", "O", "O", "O", "O", "O", "O", "O", "O", "O", "O", "O", "O", "O", "O", "O", "O", "O", "O", "O", "O", "O", "O", "O", "O", "O", "O", "O", "O", "O", "O", "O", "O", "O", "O", "O", "O", "O", "O", "O", "O"],
____________

(Response)
  "species": ["Mg", "Cr", "Cr", "Cr", "Cr", "O", "O", "O", "O", "O", "O", "O", "O", "O", "O", "O", "O"],